Tuesday 2 December 2014

Other slogs to check out

I know I don't usually do this, but to be 100% honest, it's for the feedback marking criteria. Anyways, definitely check out these slogs cause they've actually been really useful throughout the year to read despite me not sharing with you guys on this slog haha.

http://qhycsc165slog.blogspot.ca/ (I find that he explains things very clearly)
http://165choi.blogspot.ca/ (Also explains questions very well, however very long posts)
http://thesnailslog.blogspot.ca/ (Informative & rather entertaining to read)
http://sunnywangthebrilliantone.blogspot.ca/ (Brings up interesting things to consider)

Saturday 29 November 2014

Week 11.1 + 12

Just to add onto week 11, I finally understand how reduction works! So if you wish to see if a program is computable or if it halts, we can insert that function inside the halt function. Now inside the halt function there will be another function that runs the arguments inside the halt parameter. Now, if the program that we're trying to halt has the same result as halt, it reduces to halt and is not computable.

Now for week 12, the good thing is that countability and induction is not on the exam, but we should learn it anyways because why not. Anyways for countability, I found it interesting to have such a specific definition that allowed the set of natural numbers to be equal in size of the set of even natural numbers. This is simply because for each natural number, there is an equivalent even natural number, and so the pairing goes to infinity, thus being the same size. I found this confusing as I always thought that some infinities are greater than others. For example, there are more real numbers between 0 and 1 than there are in the infinite set of integers according to random credible sources I googled online. Anyhow, it all made sense once Professor Larry defined the definition of mapping.

Now for induction, I find that it reminds me of recursion. Where if I prove one case, the rest are also proven. So there is always one base case, and with the inductive step, all the cases after the base case are proven as well. A good metaphor is the domino effect, where if one domino is proven to be falling, so will all the ones after it.

Anyhow, I think this is the end of CSC165 and my SLOG. And despite not having that many posts, I've always tried to catch up and do multiple posts together in one. Now its off to the exam and wish me good luck!

Wednesday 12 November 2014

Week 10+11 - big-theta and computability!

Oh man, I think I'm really behind, where I think I understand what's going on in class, but the second I walk out of class, I have no clue what I'm doing. Anyways, this week we learned about proving big theta. Similar to proving Big O, you try to under-estimate the antecedent, and over estimate the subsequent to create a link between the two, proving that one function is smaller than the other. Furthermore, we should always try to keep in mind the definition of big theta and big O, and remember that we should consider the point which the functions start diverging and increase at different rates, helping us select variables to use for the proof, where we pick B and c based on known B's and c's.

Now onto harder, but more interesting things, computability. Computability is where we want to see if a function can return a result. Through the analyzing the algorithm we can predict what the computer is able to compute. However, not all things are computable. For example, if there existed a function which could see the computability of any function. If it were to compute itself, there would be a contradiction. Therefore it is actually impossible to make a single function that can see the computability of any function. Furthermore, if you're thinking what if we just run the function and see when it halts? Well if the function did not halt at all, you would never get a result back!

And so, what are reductions? This part I don't understand too well just yet but i'll see if my explanations are correct. Assume there are two functions f(n) and g(n). If f(n) was implemented by extending g(n), we can conclude that f(n) reduces to g(n). Therefore if g is computable, it implies that f is computable. And with the contra-positive, if f is non-computable, g is non-computable! Through this we can prove if functions are non-computable by relating it back to the halt function!

Anyways that's all I've got for today, this course is getting very interesting but unfortunately very hard. I hope that I can end up with a 75% to apply for the computer science minor, but with how mind boggling stuff is getting, I think I'm going to have to put in more effort.

Sunday 9 November 2014

Week 9 - TERM TEST 2

Sorry for being slightly late to post this slog, I had infact almost totally forgotten about it until now.
Anyhow, I feel rather confident about the test. This time its hopefully justified, I was able to prove the first and the third question however the second one was a bit tricky but I think I pulled through by using contradiction of the negation. Anyhow just like my prof says, I don't always take a term test at 6 pm, but when I do, I have 2 lectures right after.

This week we went through the Big O of polynomials, non polynomials as well as limits. Personally I found it a bit hard to focus due to the stressing factor that is a term test, however I tried my best to understand the lecture and have tried going back and reviewing the lecture slides. One issue that I have with proving the Big O of polynomials is that the definition of Big O is so long that I tend to get lost easy. But overall, I realized that picking B and C is important but must also be used to show its bounding relationship. Also for polynomials, by checking the degree of the function, you can figure out who is the Big O of who, where the terms with the largest degree and see which is larger. eg. n^1984 is less than 2n^1984.

Furthermore, with non polynomials, we can use limits to help us prove Big O. If the ratio of f(n) over g(n) approaches infinity when n approaches infinity, that means that f(n) grows faster than g(n).

Anyhow, hopefully I can wrap my head around the definition of Big O, which seems to currently be an issue. This is perhaps solely because I get confused rather easily when equations get long, but I suppose I'll survive. See you guys next time! (Lookin' at you TAs since you guys are probably the only ones who read this)

Crystal structures that have nothing to do with the entry:
........
(1)
The following is a PBE calculation of crystalline AgAsS2 at its relaxed geometry, from the Materials Project.

Values from the calculation:
Space group: C2/c
Formation energy (meV per atom): -353

POSCAR file:
```
AgAsS2
1.0
3.9609 7.6998 0.0000
-3.9609 7.6998 0.0000
0.0000 3.4313 17.2457
As Ag S
12 12 24
Direct
0.3780 0.1144 0.2687
0.1144 0.3780 0.7687
0.8856 0.6220 0.2313
0.0531 0.2924 0.0814
0.9469 0.7076 0.9186
0.2857 0.5289 0.0876
0.2924 0.0531 0.5814
0.6220 0.8856 0.7313
0.7143 0.4711 0.9124
0.5289 0.2857 0.5876
0.7076 0.9469 0.4186
0.4711 0.7143 0.4124
0.1220 0.8780 0.2500
0.1864 0.9479 0.9192
0.7621 0.5259 0.5878
0.2379 0.4741 0.4122
0.9479 0.1864 0.4192
0.6335 0.3665 0.2500
0.8136 0.0521 0.0808
0.4741 0.2379 0.9122
0.5259 0.7621 0.0878
0.0521 0.8136 0.5808
0.8780 0.1220 0.7500
0.3665 0.6335 0.7500
0.5488 0.1976 0.7213
0.4122 0.5923 0.6032
0.8164 0.7515 0.1085
0.6456 0.7679 0.9258
0.1570 0.9804 0.0902
0.8024 0.4512 0.7787
0.9789 0.3081 0.2148
0.7515 0.8164 0.6085
0.8430 0.0196 0.9098
0.5878 0.4077 0.3968
0.3544 0.2321 0.0742
0.9804 0.1570 0.5902
0.6919 0.0211 0.2852
0.2321 0.3544 0.5742
0.4077 0.5878 0.8968
0.5923 0.4122 0.1032
0.4512 0.8024 0.2787
0.0196 0.8430 0.4098
0.3081 0.9789 0.7148
0.7679 0.6456 0.4258
0.2485 0.1836 0.3915
0.1836 0.2485 0.8915
0.0211 0.6919 0.7852
0.1976 0.5488 0.2213
```

***

(2)
The following is a PBE calculation of crystalline EuMgH4 at its relaxed geometry, from the Materials Project.

Values from the calculation:
Space group: Cmc2_1
Formation energy (meV per atom): -507

POSCAR file:
```
EuMgH4
1.0
1.9396 -6.5666 0.0000
1.9396 6.5666 0.0000
0.0000 0.0000 5.5682
Eu H Mg
2 8 2
Direct
0.1519 0.8481 0.2560
0.8481 0.1519 0.7560
0.4559 0.5441 0.6565
0.3303 0.6697 0.0249
0.6697 0.3303 0.5249
0.7042 0.2958 0.0100
0.9272 0.0728 0.3473
0.0728 0.9272 0.8473
0.5441 0.4559 0.1565
0.2958 0.7042 0.5100
0.4143 0.5857 0.3043
0.5857 0.4143 0.8043
```
........

Saturday 1 November 2014

-- begin --
Entry 1:
VASP calculation (meta-GGA r2SCAN) on an optimized crystal structure of Ba3Ca.

POSCAR file:
```
Ba3Ca
1.0
6.2549 0.0000 0.0000
0.0000 6.2549 0.0000
0.0000 0.0000 6.2549
Ba Ca
3 1
Direct
0.0000 0.0000 0.5000
0.0000 0.5000 0.0000
0.5000 0.0000 0.0000
0.5000 0.5000 0.5000
```

Properties
ΔE_f in eV per atom: 0.10
Polymorph energy (0 for the lowest one) in meV per atom: 80
V in Å³/atom: 61.2
SG: Pm-3m (221)
Spin magnetization in μB/atom: 0.124

Entry 2:
VASP calculation (meta-GGA r2SCAN) on an optimized crystal structure of Ba3Ca.

POSCAR file:
```
Ba3Ca
1.0
8.9040 0.0000 0.0000
-4.4520 7.7111 0.0000
0.0000 0.0000 7.0732
Ba Ca
6 2
Direct
0.1709 0.3418 0.2500
0.1709 0.8291 0.2500
0.3418 0.1709 0.7500
0.6582 0.8291 0.2500
0.8291 0.1709 0.7500
0.8291 0.6582 0.7500
0.3333 0.6667 0.7500
0.6667 0.3333 0.2500
```

Properties
ΔE_f in eV per atom: 0.02
Polymorph energy (0 for the lowest one) in meV per atom: 0
V in Å³/atom: 60.7
SG: P6_3/mmc (194)
Spin magnetization in μB/atom: 0.045

Entry 3:
VASP calculation (meta-GGA r2SCAN) on an optimized crystal structure of Ba3Ca.

POSCAR file:
```
Ba3Ca
1.0
-3.0779 3.0779 6.3976
3.0779 -3.0779 6.3976
3.0779 3.0779 -6.3976
Ba Ca
3 1
Direct
0.0000 0.0000 0.0000
0.2500 0.7500 0.5000
0.7500 0.2500 0.5000
0.5000 0.5000 0.0000
```

Properties
ΔE_f in eV per atom: 0.08
Polymorph energy (0 for the lowest one) in meV per atom: 69
V in Å³/atom: 60.6
SG: I4/mmm (139)
Spin magnetization in μB/atom: 0.002

Entry 4:
VASP calculation (meta-GGA r2SCAN) on an optimized crystal structure of Ba2CaGa2CuF14.

POSCAR file:
```
Ba2CaGa2CuF14
1.0
6.8902 -2.6664 0.0000
6.8902 2.6664 0.0000
-0.4480 0.0000 14.6955
Ba Ca Ga Cu F
4 2 4 2 28
Direct
0.1293 0.2532 0.1201
0.2532 0.1293 0.6201
0.7468 0.8707 0.3799
0.8707 0.7468 0.8799
0.4221 0.5779 0.2500
0.5779 0.4221 0.7500
0.0993 0.1400 0.3759
0.1400 0.0993 0.8759
0.8600 0.9007 0.1241
0.9007 0.8600 0.6241
0.5000 0.5000 0.0000
0.5000 0.5000 0.5000
0.0417 0.6419 0.2221
0.0603 0.9234 0.3448
0.0766 0.9397 0.1552
0.1207 0.7108 0.5189
0.1381 0.5977 0.0470
0.1704 0.5843 0.7059
0.1733 0.3279 0.4078
0.2892 0.8793 0.9811
0.3279 0.1733 0.9078
0.3581 0.9583 0.2779
0.3840 0.5057 0.8843
0.4023 0.8619 0.4530
0.4157 0.8296 0.7941
0.4943 0.6160 0.6157
0.5057 0.3840 0.3843
0.5843 0.1704 0.2059
0.5977 0.1381 0.5470
0.6160 0.4943 0.1157
0.6419 0.0417 0.7221
0.6721 0.8267 0.0922
0.7108 0.1207 0.0189
0.8267 0.6721 0.5922
0.8296 0.4157 0.2941
0.8619 0.4023 0.9530
0.8793 0.2892 0.4811
0.9234 0.0603 0.8448
0.9397 0.0766 0.6552
0.9583 0.3581 0.7779
```

Properties
ΔE_f in eV per atom: -3.35
V in Å³/atom: 13.5
SG: C2/c (15)
Spin magnetization in μB/atom: 0.050

Entry 5:
VASP calculation (meta-GGA r2SCAN) on an optimized crystal structure of Ba2CaMnV2F14.

POSCAR file:
```
Ba2CaMnV2F14
1.0
6.8755 -2.6969 0.0000
6.8755 2.6969 0.0000
-0.4641 0.0000 14.9876
Ba Ca Mn V F
4 2 2 4 28
Direct
0.1496 0.2345 0.1215
0.2345 0.1496 0.6215
0.7655 0.8504 0.3785
0.8504 0.7655 0.8785
0.4444 0.5556 0.2500
0.5556 0.4444 0.7500
-- stop --

Week 8 - Oh no we still have to do proofs?? + Problem Solving Wiki

All along I've been hoping to stray away from proofs and start going through programming algorithms, but of-course, they had to combine both. This week we mainly worked on algorithm analysis. We went through what upper bound O(n^2) and lower bound Omega(n^2) means in analyzing an algorithm. Upper-bound is limit which the actual run time of the program will never be larger than, and lower-bound is the opposite, which the program will run the fastest. What I found was surprising was that you don't need to define the function's speed, but you're allowed to over-estimate when solving for the upper-bound and underestimate for lower-bound. However, I find it difficult to understand

There are two drawers, the left drawer has 64 pennies, the right drawer contains zero. Is it possible to make it so that one drawer has 48 pennies by transferring half of one pile to the other (You cannot transfer the pennies if there are an odd number of them in one drawer)?

Working as a group, we all tried our best to understand the problem as much as we could. We drew a tree diagram to help us illustrate the possible answers. We first saw that it was possible to make one drawer contain 48 pennies through trial on paper. However, how could we prove that you can make any number from 0-64?

We continued to seek an algorithm between different criteria of numbers. We tried odd numbers, even numbers, prime numbers, and through the analysis of the steps we used, we found a pattern. Instead of seeking a specific number, we should instead consider the specific number and its pair that is used to generate 64. For example, if we look at the number 63, we see that the other drawer must have 1 penny. The only possible way to obtain this combination is if a drawer of 2 pennies were halved. Therefore the next combination is 2, 62. Using the same method of backtracking, we would see the next combination would be (4,60), then (8,56), then (16,48), then (32,32), which leads us to the beginning. Using the algorithm of doubling the smaller number, we found that any number from 0-64. This is because any odd number doubled would result in an even number which belong in the tree of combinations of pennies that are based on the power of 2.

Now the question is, what if you started with a different number of coins? Well odd numbers would not work as you cannot split the odd number of pennies apart. Furthermore, the starting number must be a power of 2, otherwise at some point of the algorithm, you will not be able to continue to the last number. Therefore any number with a power of 2 would allow you to make any number from 0 to that number., eg. 8, you can make any number from 0-8. This was solved through trials and error of different sums. First, 100 was tried, however it would be impossible as the third step of the algorithm would be (75, 25). Then, without trial, we saw that starting with an odd number would not work as you're stopped at step 1. Looking back at why 64 worked, it was because of its treemap that has encompasses all the powers of 2, and due to the algorithm of halving the number of pennies, you can always connect to that original treemap to lead back to the start. If I had more experience with Python and if I was less busy, I could try to make a program to simulate all the possible numbers from 0-64 to confirm the findings. Nonetheless, this was a fantastic problem exercise and quite enjoyable to solve. That's all for this week, hopefully I am ready for the test next week. Wish me luck (I still have trouble remembering these damn proof structures! But at least I have the cheat sheet!)

Saturday 25 October 2014

Week -7 Aha! Now I see why this is a comp. sci. course!

This week, I believe we've finished going through all the different types of proof structures, and boy are they hard to remember. Most recently, we finished proofs by cases which I found interesting, since it felt very un-intuitive to use, however still very useful once I understood that the cases must cover all possible scenarios. Imaging proving a integer relationship, you'd be making an infinite amount of cases!

Anyhow, this course has just gotten very interesting, now we're on algorithm analysis and asymptotic notation. With algorithm analysis, its very interesting as we count the number of steps that an algorithm uses, and its also very surprising that we don't care about the amount of steps it takes, but the difference in steps when input is changed. The course has suddenly become very computer science based and I'm starting to like it even more! My only issue is I have trouble remembering structures or what symbols to use in proofs, and whenever I forget, I get stuck on continuing the proof. More memorization is required I suppose, and I'll get to the problem solving sLOG... eventually, my midterms aren't over yet but it seems like they just keep coming and coming and coming... Until next time!

Wednesday 15 October 2014

Week 6 - Pls midterm y u do this

First things first, I've received my midterm back and boy do I feel stupid. 26.5 out of 38. Hoooorrrible, simply because the class average was in the 80s, meaning I'm horribly behind in the bell curve. But, I feel that it wasn't my lack of understanding of course concepts but mainly due to the way I answered a couple of questions. When the question asked me to explain my reasoning, I simply restated the statement in normal words instead of symbolic form. Absolutely idiotic, and I suppose I've learned the lesson the hard way. 

Anyhow, I'm going to delay the problem solving sLOG until after midterms when things die down a little bit. I've been reviewing the slides for past few lectures and I think I'm starting to get a hang of it. I'm still a bit unused to the format which we use to write proofs, however I understand the reasoning and logic for how to prove certain relationships (Direct proof, contradiction, etc.) However, I am having some issues with the recent lecture about limits. I'm planning to check out Prof. Heap's lecture slides and ask questions during tutorial next week for more clarity. 

One thing I found interesting though is that I never knew the floor function that we recently learned was originally a math symbol. I always thought it was created by programmers as I first learned of its use in programming languages such as Java. Apparently next week, we go through abit more proofs, but I'm more excited about learning about algorithm complexity and such. I've always been interested in those types of things despite being a commerce major. Nonetheless, I shall continue to work hard and hopefully get around that 80% median, or at least qualify for the Comp. Sci. minor.